Wanted:
What is needed: filter the data further down: keep the lines with the word "Cs2CrGaBr6".

Input:
+++
# 1
Below is CsCrFe2Br8 after structural relaxation, with properties calculated at the PBE level.

abc: 6.620 6.620 10.327
angles: 83.79 83.79 68.12
Sites, in units of the cell vectors:
1 Br 0.230 0.230 0.004
2 Br 0.222 0.733 0.181
3 Br 0.733 0.222 0.181
4 Br 0.321 0.321 0.596
5 Br 0.267 0.778 0.819
6 Br 0.679 0.679 0.404
7 Br 0.770 0.770 0.996
8 Br 0.778 0.267 0.819
9 Cs 0.000 0.000 0.500
10 Fe 0.620 0.620 0.191
11 Fe 0.380 0.380 0.809
12 Cr 0.000 0.000 0.000

Values from the calculation:
space group	C2/m (12)
DFT total energy	-49.44	eV for the cell shown
M_tot	0.95	μB per atom


# 2
Below is CsCrGa2Br8 after structural relaxation, with properties calculated at the PBE level.

abc: 6.921 6.921 10.907
angles: 71.50 71.50 60.00
Sites, in units of the cell vectors:
1 Br 0.616 0.266 0.163
2 Br 0.734 0.045 0.837
3 Br 0.266 0.955 0.163
4 Br 0.045 0.384 0.837
5 Br 0.384 0.734 0.837
6 Br 0.177 0.177 0.470
7 Br 0.823 0.823 0.530
8 Br 0.955 0.616 0.163
9 Cr 0.000 0.000 0.000
10 Ga 0.255 0.255 0.235
11 Ga 0.745 0.745 0.765
12 Cs 0.500 0.500 0.500

Values from the calculation:
space group	R-3 (148)
DFT total energy	-40.44	eV for the cell shown
M_tot	0.42	μB per atom


# 3
Below is Cs2CrGaBr6 after structural relaxation, with properties calculated at the PBE level.

abc: 7.844 7.844 7.843
angles: 60.00 60.00 90.00
Sites, in units of the cell vectors:
1 Cs 0.750 0.250 0.500
2 Cs 0.250 0.750 0.500
3 Br 0.270 0.270 0.000
4 Br 0.270 0.270 0.460
5 Br 0.730 0.270 0.000
6 Br 0.270 0.730 0.000
7 Br 0.730 0.730 0.000
8 Br 0.730 0.730 0.540
9 Cr 0.500 0.500 0.000
10 Ga 0.000 0.000 0.000

Values from the calculation:
space group	Fm-3m (225)
DFT total energy	-36.08	eV for the cell shown
M_tot	0.30	μB per atom


# 4
Below is CsCrGe2Br8 after structural relaxation, with properties calculated at the PBE level.

abc: 7.106 7.125 9.425
angles: 89.80 89.95 59.85
Sites, in units of the cell vectors:
1 Ge 0.334 0.333 0.847
2 Ge 0.666 0.667 0.153
3 Br 0.259 0.686 0.156
4 Br 0.686 0.055 0.155
5 Br 0.054 0.258 0.155
6 Br 0.741 0.314 0.844
7 Br 0.668 0.666 0.415
8 Br 0.332 0.334 0.585
9 Br 0.314 0.945 0.845
10 Br 0.946 0.742 0.845
11 Cs 0.000 0.000 0.500
12 Cr 0.000 0.000 0.000

Values from the calculation:
space group	P-1 (2)
DFT total energy	-43.02	eV for the cell shown
M_tot	0.25	μB per atom


# 5
Below is Cs2CrGeBr6 after structural relaxation, with properties calculated at the PBE level.

abc: 7.752 7.752 7.757
angles: 60.02 60.02 90.00
Sites, in units of the cell vectors:
1 Br 0.257 0.257 0.486
2 Br 0.742 0.742 0.000
3 Br 0.742 0.258 0.000
4 Br 0.743 0.743 0.514
5 Br 0.258 0.742 0.000
6 Br 0.258 0.258 0.000
7 Cr 0.500 0.500 0.000
8 Cs 0.750 0.250 0.500
9 Cs 0.250 0.750 0.500
10 Ge 0.000 0.000 0.000

Values from the calculation:
space group	I4/mmm (139)
DFT total energy	-36.91	eV for the cell shown
M_tot	0.40	μB per atom


# 6
Below is Cs2CrHBr6 after structural relaxation, with properties calculated at the PBE level.

abc: 7.126 7.126 7.899
angles: 63.19 63.19 90.00
Sites, in units of the cell vectors:
1 Br 0.205 0.205 0.589
2 Br 0.257 0.743 0.000
3 Br 0.743 0.257 0.000
4 Br 0.795 0.795 0.411
5 Br 0.257 0.257 0.000
6 Br 0.743 0.743 0.000
7 Cs 0.750 0.250 0.500
8 Cs 0.250 0.750 0.500
9 Cr 0.000 0.000 0.000
10 H 0.500 0.500 0.000

Values from the calculation:
space group	I4/mmm (139)
DFT total energy	-33.03	eV for the cell shown
M_tot	0.30	μB per atom


# 7
Below is Cs2CrHgBr6 after structural relaxation, with properties calculated at the PBE level.

abc: 7.842 7.843 11.130
angles: 90.00 90.00 90.00
Sites, in units of the cell vectors:
1 Cs 0.000 0.250 0.750
2 Cs 0.500 0.750 0.750
3 Cs 0.500 0.750 0.250
4 Cs 0.000 0.250 0.250
5 Br 0.500 0.250 0.269
6 Br 0.732 0.017 0.500
7 Br 0.232 0.983 0.000
8 Br 0.500 0.250 0.731
9 Br 0.233 0.518 0.000
10 Br 0.768 0.983 0.000
11 Br 0.000 0.750 0.231
12 Br 0.767 0.518 0.000
13 Br 0.000 0.750 0.769
14 Br 0.267 0.482 0.500
15 Br 0.268 0.017 0.500
16 Br 0.733 0.482 0.500
17 Hg 0.500 0.250 0.000
18 Hg 0.000 0.750 0.500
+++

Worked solution:
Below is Cs2CrGaBr6 after structural relaxation, with properties calculated at the PBE level.